What to do =
Find the line further down that holds "angles (deg):", then type out that line and all lines after it there.
File =
____________
Compound: Cr6PbO18
Source: Alexandria
Functional: PBE with a Hubbard U
Structure: optimized geometry

The total magnetic moment is 4.000 μB/f.u. The theoretical density comes out at 4.6 g/cm3. The value obtained for the total energy is -6.414 eV per atom.

a b c (Å): 6.3812 6.3812 8.1224
angles (deg): 75.42 75.42 67.80
Fractional positions:
Pb (0.0000, 0.0000, 0.5000)
O (0.8700, 0.2847, 0.6636)
O (0.7153, 0.1300, 0.3364)
O (0.6599, 0.3401, 0.0000)
O (0.7115, 0.7115, 0.4793)
Cr (0.8259, 0.3458, 0.1502)
O (0.9356, 0.9356, 0.9085)
O (0.0000, 0.5000, 0.0000)
Cr (0.5000, 0.0000, 0.5000)
O (0.1300, 0.7153, 0.3364)
O (0.2847, 0.8700, 0.6636)
O (0.0644, 0.0644, 0.0915)
O (0.6586, 0.0101, 0.6694)
O (0.9899, 0.3414, 0.3306)
O (0.3414, 0.9899, 0.3306)
Cr (0.0000, 0.5000, 0.5000)
Cr (0.1741, 0.6542, 0.8498)
O (0.5971, 0.5971, 0.2268)
O (0.0101, 0.6586, 0.6694)
O (0.2885, 0.2885, 0.5207)
O (0.4029, 0.4029, 0.7732)
O (0.5000, 0.0000, 0.0000)
O (0.3401, 0.6599, 0.0000)
____________
Result =
angles (deg): 75.42 75.42 67.80
Fractional positions:
Pb (0.0000, 0.0000, 0.5000)
O (0.8700, 0.2847, 0.6636)
O (0.7153, 0.1300, 0.3364)
O (0.6599, 0.3401, 0.0000)
O (0.7115, 0.7115, 0.4793)
Cr (0.8259, 0.3458, 0.1502)
O (0.9356, 0.9356, 0.9085)
O (0.0000, 0.5000, 0.0000)
Cr (0.5000, 0.0000, 0.5000)
O (0.1300, 0.7153, 0.3364)
O (0.2847, 0.8700, 0.6636)
O (0.0644, 0.0644, 0.0915)
O (0.6586, 0.0101, 0.6694)
O (0.9899, 0.3414, 0.3306)
O (0.3414, 0.9899, 0.3306)
Cr (0.0000, 0.5000, 0.5000)
Cr (0.1741, 0.6542, 0.8498)
O (0.5971, 0.5971, 0.2268)
O (0.0101, 0.6586, 0.6694)
O (0.2885, 0.2885, 0.5207)
O (0.4029, 0.4029, 0.7732)
O (0.5000, 0.0000, 0.0000)
O (0.3401, 0.6599, 0.0000)